March Gratitude

As we enter a new month and season of Spring, I’m reminded of how gratitude can shift us to higher energy frequencies attracting new growth and expansion. As daylight continues to increase one minute per day on its way to the Summer Solstice, the plants and animals slowly awaken to the new birthing that takes place annually. We humans however need other prompts as we seemingly focus our attention on everything but the light that shines in the sky and in our hearts. We find ourselves focusing on the day to day struggles that sap our strength rather than on the blessings that bring Life to Life. What wonder could this month offer us?
## HfBeIr2 (r2SCAN)

Data for HfBeIr2 after structural relaxation.

Cell: 4.340 4.340 4.340 Å, 60.00 60.00 60.00°
Element x y z (fractional)
Ir 0.250 0.250 0.250
Hf 0.000 0.000 0.000
Be 0.500 0.500 0.500
Ir 0.750 0.750 0.750

Energy of formation from the pure elements (eV/atom): -0.83
Theoretical density (kg/m³): 16433
Total energy (eV per atom): -39.38

=====

[1]
This record from Materials Project describes an optimized crystal structure of ErFeGe2. The functional is GGA-PBE.

```
ErFeGe2
1.0
4.1431 0.0000 0.0000
0.0000 16.5548 0.0000
0.0000 0.0000 4.1948
Er Fe Ge
4 4 8
Cartesian
0.0000 1.8109 1.0487
0.0000 14.7439 3.1461
2.0715 6.4665 3.1461
2.0715 10.0883 1.0487
0.0000 5.2782 1.0487
0.0000 11.2766 3.1461
2.0715 2.9992 3.1461
2.0715 13.5556 1.0487
0.0000 4.1525 3.1461
0.0000 7.5381 1.0487
0.0000 9.0167 3.1461
0.0000 12.4023 1.0487
2.0715 0.7393 3.1461
2.0715 4.1249 1.0487
2.0715 12.4299 3.1461
2.0715 15.8155 1.0487
```

Computed properties:
symmetry = Cmcm

---

[2]
This record from Materials Project describes an optimized crystal structure of Er4Fe3Ge4. The functional is GGA-PBE.

```
Er4Fe3Ge4
1.0
-1.6380 4.6118 7.2828
1.6380 -4.6118 7.2828
1.6380 4.6118 -7.2828
Er Fe Ge
4 3 4
Cartesian
1.6380 -2.9435 5.0891
0.0000 1.6683 2.1937
1.6380 2.9435 5.0891
0.0000 7.5553 2.1937
1.6380 0.0000 0.0000
0.0000 0.0000 5.8309
0.0000 0.0000 8.7348
1.6380 0.0000 4.0186
0.0000 3.3314 0.0000
0.0000 5.8922 0.0000
0.0000 4.6118 3.2643
```

Computed properties:
symmetry = Immm

---

[3]
This record from Materials Project describes an optimized crystal structure of ErFe6Sn4Ge2. The functional is GGA-PBE.

```
ErFe6Sn4Ge2
1.0
5.2896 0.0000 0.0000
-2.6448 4.5809 0.0000
0.0000 0.0000 8.7084
Er Fe Sn Ge
1 6 4 2
Cartesian
0.0000 0.0000 0.0000
-1.3224 2.2905 2.0180
-1.3224 2.2905 6.6905
2.6448 0.0000 2.0180
2.6448 0.0000 6.6905
1.3224 2.2905 2.0180
1.3224 2.2905 6.6905
0.0000 0.0000 2.9299
0.0000 0.0000 5.7786
0.0000 3.0540 4.3542
2.6448 1.5270 4.3542
0.0000 3.0540 0.0000
2.6448 1.5270 0.0000
```

Computed properties:
symmetry = P6/mmm

---

no.,total magnetic moment (Bohr magnetons per cell),formation energy from the elements (meV/atom)
1,0.038,-434
2,5.150,-132
3,11.816,-187

=====

Entry 1:
This record from the Materials Project database describes a relaxed structure of TeO2. The functional is meta-GGA r2SCAN.

Unit cell a=6.9242 b=6.9242 c=3.3621 alpha=90.00 beta=90.00 gamma=152.39
Closest atoms and distances in Å follow each position.
Element x y z (fractional)
O (0.5990, 0.4010, 0.7500)  4 Te 2.44, 4 O 2.62-2.64
O (0.2500, 0.7500, 0.7500)  4 Te 2.16-2.19, 4 O 2.36
O (0.7500, 0.2500, 0.2500)  4 Te 2.16-2.19, 4 O 2.36
O (0.4010, 0.5990, 0.2500)  4 Te 2.44, 4 O 2.62-2.64
Te (0.1462, 0.8538, 0.2500)  4 O 2.16-2.19
Te (0.8538, 0.1462, 0.7500)  4 O 2.16-2.19

The symmetry is Cmcm (63). As for the formation energy: -468 meV per atom.

---

Entry 2:
Last night, before it got dark, I happened to look out the window and noticed it was snowing. I was delighted to see it, realizing it can snow anytime from September through June in Colorado. I watched as it got darker to experience the wonder of the moment and felt a strange sense of gratitude for the blessing of this gift. I then checked in after dark to see the snowflakes pouring from the sky lit by the streetlight next to the house. As I reflected on these moments before going to bed, there was an awareness of how the simplest of things can fire the imagination and prompt what appears to be ordinary into something extraordinary.
Last year at this time we were living in the mountains with record snowfall accumulation. As the days warmed, the thaw threatened flooding. We lived a block from the Dolores River so I walked to it every day to experience the millions of gallons of water pouring down from the mountains. It was an awesome experience along with giving attention to the trees and bushes birthing their new leaves and blossoms. Living close to Nature giving her attention turns common days into special days and blessings into insights. Living with gratitude transforms the ordinary to the sublime and indifference to affirmation. It’s an attitude with altitude.
As you bring yourself into the month of March with Lent, Daylight Savings Time, St. Patrick’s Day, March Madness, Purim, Spring Equinox, Full Moon, budding plants, snow, rain and a host of other experiences; give yourself a gift. Awaken to the opportunities to transform ‘common days’ into thanksgivings, ‘routine jobs’ into celebrations, ‘ordinary moments’ into blessings and ‘darkness’ into light. From this inner space, awaken to a beauty and love within yourself that you forgot was there and begin to smile awhile, laugh a lot and give Life much more than what you thought you got. It’s time for an attitude of March Gratitude!
- As you walk through the month of March, stop throughout each day to be still and feel the environment you’re in. Notice what you notice, then notice what you don’t notice!
- Become aware of your indifference, your antagonism, your disappointment, your anxiety and give thanks for the opportunity to become aware of them. Recognize how they can help you live into their opposites. Turn these moments into opportunities for gratitude!
- When you find yourself complaining; stop, look and awaken to the Source of Life that’s flowing in, around and through you. Be still and know, grow and show the gratitude that’s the essence of you!